The heritage activist, PRAJAL SAKHARDANDE, expresses his concerns on how the upcoming Government approved Mollem project could spell doom for Goa’s natural heritage.
Goa, an ethereal combination of emerald on the East and azure on the West once again, stands threatened, due to the draconian axe called ‘development.’ As has happened multiple times in the past, desecration of Goa’s natural inheritance may now begin to sound clichéd. Nonetheless, it is unfortunate that such despoliation is underway yet again!
This time, the area in question happens to be the lush-green forests of the Mollem Wildlife Sanctuary and the natural green cover of the Western Ghats – a biodiversity hotspot identified by UNESCO. Albeit, Mollem may not feature in UNESCO’s prestigious list; however, it certainly occupies a vital fraction of the majestic Western Ghats.
Unrelated to this entry: molecular data =
/*
1.
A 6-piece molecular cluster, C30H76N4O10 overall at a distorted geometry. Source: the Open Molecules 2025 dataset; level of theory: wB97M-V/def2-TZVPD.

ORCA input file:
```
! wB97M-V def2-TZVPD RIJCOSX def2/J DEFGRID3
* xyz -1 2
C -6.065 4.290 1.405
O -6.187 3.529 0.155
C -5.294 3.981 -0.857
C -5.826 3.243 -2.111
N -5.741 1.868 -2.007
C -4.445 1.314 -1.910
C -4.419 -0.139 -1.258
O -5.079 -0.129 -0.027
C -4.313 0.605 0.916
H -6.695 3.840 2.173
H -6.413 5.321 1.340
H -5.035 4.227 1.757
H -4.252 3.763 -0.623
H -5.283 5.070 -0.908
H -5.417 3.738 -2.992
H -6.911 3.336 -2.084
H -6.364 1.508 -1.298
H -3.747 1.945 -1.360
H -4.123 1.135 -2.936
H -3.389 -0.479 -1.143
H -4.921 -0.852 -1.911
H -4.250 1.657 0.635
H -3.412 0.078 1.228
H -4.778 0.670 1.900
C 0.984 1.609 -7.713
O 0.222 2.170 -6.729
C -0.161 3.548 -6.754
C -1.522 3.918 -6.058
N -1.787 3.387 -4.718
C -0.774 3.736 -3.734
C -1.160 3.405 -2.291
O -0.163 3.335 -1.369
C -0.564 3.134 -0.077
H 0.533 1.275 -8.647
H 1.471 0.736 -7.279
H 1.743 2.314 -8.053
H -0.173 3.860 -7.799
H 0.682 3.920 -6.171
H -2.378 3.594 -6.650
H -1.565 4.979 -5.813
H -1.815 2.379 -4.774
H -0.420 4.767 -3.721
H 0.064 3.118 -4.055
H -1.354 2.338 -2.394
H -1.946 4.051 -1.899
H 0.085 2.382 0.372
H -1.597 2.795 -0.001
H -0.357 4.161 0.226
C 3.176 1.487 -0.168
O 3.568 1.036 -1.406
C 2.424 0.399 -2.081
C 2.777 0.138 -3.541
N 3.836 -0.895 -3.471
C 4.484 -1.097 -4.730
C 5.631 -2.066 -4.630
O 6.781 -1.567 -4.036
C 7.318 -0.398 -4.660
H 2.828 0.634 0.415
H 2.351 2.200 -0.165
H 3.951 2.050 0.351
H 1.475 0.903 -1.900
H 2.163 -0.518 -1.553
H 3.260 0.959 -4.071
H 1.820 -0.213 -3.925
H 4.484 -0.700 -2.721
H 4.648 -0.118 -5.179
H 3.834 -1.696 -5.368
H 5.822 -2.529 -5.598
H 5.330 -3.005 -4.166
H 6.589 0.411 -4.603
H 7.606 -0.704 -5.665
H 8.148 -0.030 -4.056
C 4.965 -1.690 2.038
O 5.293 -2.006 3.335
C 5.028 -3.332 3.778
C 4.810 -3.240 5.345
N 3.784 -2.232 5.613
C 2.515 -2.938 5.789
C 1.287 -2.004 6.064
O 1.677 -1.116 7.105
C 0.632 -0.118 7.411
H 3.932 -1.889 1.754
H 5.635 -2.391 1.540
H 5.152 -0.690 1.646
H 5.829 -4.004 3.469
H 4.200 -3.780 3.229
H 5.706 -2.959 5.898
H 4.440 -4.142 5.834
H 3.814 -1.745 4.729
H 2.512 -3.632 6.629
H 2.249 -3.531 4.914
H 0.490 -2.738 6.183
H 1.169 -1.562 5.074
H 0.931 0.761 7.982
H -0.325 -0.373 7.865
H 0.170 0.302 6.517
C -0.335 -0.276 1.238
C -0.804 -1.712 1.592
C 0.407 -2.543 2.051
O -1.698 -1.585 2.753
H 0.195 -0.150 0.294
H 0.403 0.018 1.984
H -1.225 0.337 1.102
H -1.368 -2.242 0.824
H 0.162 -3.012 3.003
H 1.250 -1.904 2.315
H 0.747 -3.292 1.336
H -1.845 -2.518 2.920
C -4.057 -4.805 3.260
C -3.396 -3.912 4.298
C -3.533 -4.396 5.829
O -2.018 -4.003 3.993
H -3.713 -5.825 3.435
H -3.861 -4.451 2.247
H -5.131 -4.687 3.405
H -3.632 -2.860 4.136
H -4.582 -4.225 6.072
H -2.936 -3.878 6.580
H -3.274 -5.442 5.992
H -1.647 -4.701 4.538
*
```

LUMO (spin up / spin down), eV: 2.168 / 2.167
HOMO (spin up / spin down), eV: 0.8 / -6.6
Expectation value of S²: 0.7504


2.
*/
Here the entry continues =
Three mammoth projects that spell trouble in paradise for Goa’s innate legacy in the Mollem region have been granted permission by our anti-environmental State and Central Governments alike. There is a proposed four-lane National Highway project to be implemented through the Mollem Wildlife Sanctuary;a transmission line commissioned by the Vedanta Group passing through the sanctuary; and the double tracking of the railway line from Castle Rock to Cullem passing through the pristine valleys of the Dudhsagar waterfalls.
Considering that Goa’s heritage-land has been under continuous attack from the Government mechanism, it is about time that we the people of Goa put our foot down and obliterate this disastrous plan of dubious intent. The Eastern topography of Goa is covered almost entirely with greenery in the form of lush forests, undulating landscapes, charming flora and fauna that is rich in biodiversity of varied nature! Interestingly, Goa’s largest butterfly species, the ‘Southern Birdwing’ resides there.
The Eastern topography of Goa is covered almost entirely with greenery in the form of lush forests, undulating landscapes, charming flora and fauna that is rich in biodiversity of varied nature! Goa’s largest butterfly species, the ‘Southern Birdwing’ resides there
That aside, the Western Ghats, specially in the Mollem region happens to be home to a variety of diverse species of birds, flowers, blades of greenery, springs, plants and arboreal heritage as well. An extensive range of animals live there, too. Having said that, it is understood that the three above-mentioned colossal ventures approved by the Government are absolutely and completely detrimental to the very existence of Mollem as a wildlife sanctuary and its rich natural heritage. It is imperative that we as Goans understand the game and not allow our prosperous ecological heritage, which is already fragile due to the onset of relentless mining activities, to be plundered in this manner.
........
Computed, not measured: C26H28Cl2N2O as an isolated structure in a non-equilibrium geometry, with the ωB97M-V functional and the def2-TZVPD basis.

```
59
Properties=species:S:1:pos:R:3
O 0.852 0.475 2.543
C 1.994 0.194 1.906
N 3.224 0.811 2.235
C 4.159 0.122 1.509
C 5.498 0.076 1.524
C 6.200 -0.675 0.943
C 5.591 -1.671 0.237
C 4.272 -1.636 -0.195
C 3.496 -0.694 0.506
C 2.101 -0.696 0.647
C 1.503 -1.899 0.697
H 0.367 -2.032 0.588
H 1.949 -2.764 1.474
C 2.106 -2.761 -0.518
H 1.575 -2.470 -1.568
H 1.715 -3.927 -0.344
C 3.647 -2.956 -0.719
H 3.790 -2.810 -1.761
H 4.177 -3.605 -0.460
C 1.393 0.198 -0.381
C 2.044 1.496 -0.848
H 2.173 2.109 0.340
C 1.203 2.524 -1.560
H 1.744 3.300 -1.800
H 0.849 2.029 -2.729
C 0.102 2.994 -0.841
N -1.000 1.787 -0.598
C -1.615 2.279 0.665
C -2.946 1.228 0.957
C -3.385 0.525 -0.073
C -4.618 -0.134 -0.011
C -5.656 0.117 0.812
C -6.739 -0.570 1.129
C -6.958 -1.900 0.350
C -6.000 -2.245 -0.526
C -4.785 -1.213 -0.656
H -4.046 -1.739 -1.564
H -6.107 -3.066 -0.832
Cl -8.388 -2.675 0.593
H -7.649 -0.169 1.897
H -5.428 0.980 1.659
C -2.927 0.675 -1.272
C -2.079 1.846 -1.637
H -1.499 1.738 -2.594
H -2.772 2.817 -1.737
H -3.400 0.484 -2.298
H -2.034 -0.360 -1.588
H -3.147 1.094 1.882
H -0.900 1.929 1.366
H -2.086 3.233 0.939
H -0.369 3.891 -1.415
H 0.408 3.369 0.085
H 3.239 1.405 -1.355
H 0.441 0.237 -0.148
H 1.584 -0.499 -1.302
Cl 6.753 -2.559 -0.561
H 7.307 -0.597 0.896
H 5.850 0.937 2.433
H 3.222 1.422 3.080
```

Results
Energy, Ha: -2112.0012
2S+1: 1
HOMO-LUMO gap, eV: 8.5

The net atomic charges from Löwdin, expressed in e, are: -0.026, -0.246, 0.169, -0.181, -0.128, -0.222, -0.645, -0.100, -0.072, -0.480, -0.137, 0.165, 0.200, -0.156, 0.138, 0.152, -0.090, 0.113, -0.023, -0.115, -0.148, 0.186, -0.300, 0.046, 0.198, -0.189, -0.102, -0.120, 0.119, -0.340, -0.311, -0.109, -0.079, -0.748, -0.015, 0.025, 0.182, -0.028, 0.740, 0.167, 0.172, -0.247, -0.217, 0.115, 0.165, 0.144, 0.218, 0.040, 0.070, 0.116, 0.153, 0.087, 0.195, 0.047, 0.151, 0.773, 0.135, 0.204, 0.189

Computed, not measured: C21H54LiN3O13P as an isolated structure in a non-equilibrium geometry, with the ωB97M-V functional and the def2-TZVPD basis.

```
93
Properties=species:S:1:pos:R:3
C 1.221 4.986 1.373
N 2.342 4.654 2.400
C 3.739 5.089 1.990
C 1.992 5.323 3.686
C 2.525 3.130 2.684
C 1.434 2.368 3.418
O 1.644 1.089 3.525
H 1.009 5.999 1.228
H 0.434 4.557 1.623
H 1.369 4.317 0.539
H 3.750 6.114 1.834
H 4.190 4.743 1.197
H 4.395 5.075 2.921
H 2.282 4.812 4.524
H 0.874 5.729 3.715
H 2.666 6.348 3.709
H 3.319 3.129 3.322
H 2.832 2.742 1.657
H 0.370 2.579 3.003
H 1.248 2.799 4.395
H 1.414 0.764 2.598
C -3.503 -1.725 -0.192
N -4.001 -0.347 -0.570
C -3.309 -0.075 -1.830
C -5.437 -0.271 -0.870
C -3.669 0.659 0.592
C -3.556 2.164 0.230
O -3.004 2.761 1.384
H -2.464 -1.809 -0.061
H -3.827 -2.382 -1.263
H -3.988 -2.216 0.547
H -3.763 -0.629 -2.764
H -2.217 -0.204 -1.873
H -3.444 0.950 -2.183
H -5.966 -1.278 -1.297
H -5.522 0.696 -1.413
H -6.028 -0.232 0.083
........
It is generally observed that Goans who are collective stakeholders of the ecological treasure are rarely noticed or taken seriously by governmental dispensations and that by itself is the biggest democratic bane! Nonetheless, in the year 2006, the people of Goa cried hoarse about the implementation of the Regional Plan of 2011 and had it scrapped – thus saving Goa’s natural heritage from the insatiable clutches of the government. Therefore, keeping this in mind, it is about time that we raise our clubs and maces once again and save Goa from this fast approaching, imminent menace which is nothing but a massive threat to our beloved land.
As humans, we cannot possibly let these disparaging projects bulldoze all over our natural heritage and our congenital and innate concerns. We need to be up-in-arms about these projects or else I fear, Goa is on the brink of destruction! The unremitting digging and construction works that will go into the materialization of these projects will deplete our ground water table. Moreover, axing forests will exhaust the ground water table further which will ultimately leave a terrible impact on the climate leading to an arid climate and environmental spiralling at the hands of these high powered projects and its influential bosses!
Let us all come together and up our ante against this utter sacrilege of our beloved Mollem. I humbly appeal to all our brethren in Goa to come forward in opposition and put an immediate halt upon these three environmentally hazardous and insensitive projects at the earliest!
Next to the article, the page also holds calculated molecules:
# 1
A molecular structure, C3H2O3 at a distorted geometry, computed with ωB97M-V/def2-TZVPD.

Each line ends with the natural charge from an NBO analysis.
CARTESIAN COORDINATES (ANGSTROEM)
1 C 3.791 0.141 -0.095  1.0298
2 C -0.153 -0.016 0.871  0.1581
3 C 0.374 0.765 -0.026  -0.0304
4 O 3.404 1.129 0.377  -0.5510
5 O 4.113 -0.839 -0.526  -0.4781
6 O 0.701 -0.937 0.402  -0.5340
7 H -1.029 -0.230 1.482  0.2042
8 H 1.123 1.368 -0.184  0.2014

## Properties
Charge: 0
Gap between HOMO and LUMO, eV: 9.6

***

# 2
A molecular structure, C3H2O3Rh at a distorted geometry, computed with ωB97M-V/def2-TZVPD.

Each line ends with the natural charge from an NBO analysis.
CARTESIAN COORDINATES (ANGSTROEM)
1 O -1.294 0.331 0.252  -0.4234
2 C -1.439 -1.033 0.058  0.6490
3 C -0.454 -1.780 -0.193  0.1133
4 O 0.846 -0.102 0.086  -0.6579
5 C -0.056 0.762 0.141  1.0379
6 O 0.101 1.975 -0.260  -0.5444
7 Rh 3.007 0.101 0.348  0.9804
8 H 0.002 -2.756 -0.217  0.2846
9 H -0.713 2.501 -0.214  0.5607

## Properties
⟨S²⟩: 8.758
Charge: +2
Gap between HOMO and LUMO (spin up / spin down), eV: 9.3 / 5.1
Spin multiplicity: 6

***

# 3
A molecular structure, C3H2O3Tl at a distorted geometry, computed with ωB97M-V/def2-TZVPD.

Each line ends with the Löwdin charge.
CARTESIAN COORDINATES (ANGSTROEM)
1 O -0.516 0.750 1.047  -0.1943
2 C 0.088 -1.062 0.172  -0.0405
3 C 1.524 -1.029 -0.025  0.0991
4 O 2.108 0.134 0.114  -0.2578
5 Tl 1.125 1.650 0.680  1.3127
6 H -0.352 -2.062 0.119  0.1263
7 C -0.902 -0.051 0.073  -0.3556
8 O -1.203 0.491 -1.139  0.1590
9 H -1.872 1.179 -1.040  0.1511

## Properties
Charge: +1
Gap between HOMO and LUMO (spin up / spin down), eV: 6.3 / 7.1

***

# 4
C3H2O4 in the gas phase at a distorted geometry, computed with ωB97M-V/def2-TZVPD.

Each line ends with the natural charge from an NBO analysis.
CARTESIAN COORDINATES (ANGSTROEM)
1 O -0.260 -1.651 -1.637  -0.4936
2 C 0.002 -0.739 -0.853  0.6280
3 O -0.003 0.538 -1.104  -0.4560
4 C -0.124 1.207 0.189  0.2279
5 O 0.354 0.276 1.068  -0.4829
6 C 0.321 -0.970 0.553  0.6573
7 O 0.322 -2.006 1.143  -0.4637
8 H -1.165 1.292 0.416  0.1821
9 H 0.554 2.054 0.225  0.2009

## Properties
Charge: 0
Gap between HOMO and LUMO, eV: 10.6

***

# 5
A molecular structure, C3H2O4Zn at a distorted geometry, computed with ωB97M-V/def2-TZVPD.

Each line ends with the natural charge from an NBO analysis.
CARTESIAN COORDINATES (ANGSTROEM)
1 H -1.404 1.460 -0.482  0.1935
2 C -1.188 1.323 1.394  0.1352
3 C -0.497 1.286 0.215  -0.1185
4 O 0.232 0.119 0.057  -0.7523
5 C 0.559 -0.438 -1.241  0.9590
6 O 0.675 0.372 -2.156  -0.7323
7 O 0.514 -1.670 -1.214  -0.7517
8 Zn 0.460 -0.756 1.830  0.8855
9 O -0.954 0.436 2.357  -0.9664
10 H -1.613 2.296 1.686  0.1479

## Properties
⟨S²⟩: 0.752
Charge: -1
Gap between HOMO and LUMO (spin up / spin down), eV: 7.0 / 6.8
Spin multiplicity: 2

***

# 6
C3H2O5 in the gas phase at a distorted geometry, computed with ωB97M-V/def2-TZVPD.

Each line ends with the natural charge from an NBO analysis.
The writer teaches history and is a published author. He also serves as Vice President of Goa Heritage Action Group Email: heritageprajal@rediffmail.com